# Assignment
Could you restate everything further below with every line break kept?
# Listing
No. 1
C25H25CuF6N2OTe | ωB97M-V/def2-TZVPD

Cartesian coordinates (Å):
Cu (0.226, 0.846, -1.321)
C (3.009, 1.229, 0.292)
N (2.250, 0.773, -0.853)
C (2.834, 0.213, -1.849)
C (2.070, -0.179, -2.985)
C (2.452, -0.729, -4.215)
C (1.284, -0.843, -4.968)
C (0.249, -0.351, -4.160)
N (0.712, 0.046, -2.970)
C (3.314, 2.708, 0.179)
C (4.617, 3.183, 0.257)
C (4.882, 4.542, 0.131)
C (3.841, 5.434, -0.074)
C (2.535, 4.965, -0.153)
C (2.273, 3.611, -0.024)
H (3.946, 0.669, 0.410)
H (2.396, 1.062, 1.182)
H (3.912, 0.016, -1.845)
H (3.452, -1.012, -4.510)
H (1.187, -1.215, -5.977)
H (-0.804, -0.291, -4.397)
H (5.434, 2.485, 0.405)
H (5.902, 4.900, 0.193)
H (4.049, 6.493, -0.172)
H (1.717, 5.657, -0.311)
H (1.258, 3.237, -0.084)
C (-2.753, 1.826, -1.885)
C (-2.021, 2.462, -0.693)
O (-1.009, 1.714, -0.168)
C (-3.066, 2.735, 0.425)
F (-4.084, 3.540, 0.016)
F (-2.532, 3.304, 1.517)
F (-3.645, 1.584, 0.828)
C (-1.443, 3.828, -1.158)
F (-2.377, 4.692, -1.633)
F (-0.563, 3.635, -2.162)
F (-0.780, 4.469, -0.176)
H (-3.277, 0.939, -1.532)
H (-1.996, 1.511, -2.602)
H (-3.460, 2.515, -2.348)
C (-2.217, -6.654, 3.737)
C (-1.967, -5.352, 3.021)
C (-2.954, -4.381, 2.924)
C (-2.726, -3.170, 2.282)
C (-3.838, -2.156, 2.212)
C (-1.469, -2.902, 1.713)
Te (-1.158, -0.976, 0.801)
C (-0.475, -3.884, 1.794)
C (0.892, -3.683, 1.183)
C (-0.734, -5.088, 2.442)
H (-3.241, -6.707, 4.107)
H (-1.543, -6.763, 4.590)
H (-2.053, -7.509, 3.077)
H (-3.930, -4.572, 3.361)
H (-4.751, -2.544, 2.665)
H (-4.041, -1.886, 1.173)
H (-3.565, -1.233, 2.730)
H (0.945, -2.733, 0.655)
H (1.120, -4.481, 0.474)
H (1.665, -3.687, 1.956)
H (0.048, -5.841, 2.490)

Computed properties:
Total charge: -1
Multiplicity: 2
Gap between HOMO and LUMO (spin up / spin down): 0.263 / 0.208 Ha

---

No. 2
C4H5ClN2 | ωB97M-V/def2-TZVPD

Cartesian coordinates (Å):
Cl (3.298, -0.338, 0.036)
N (2.079, 0.842, -0.048)
C (0.868, 0.359, -0.126)
C (-0.203, 1.325, -0.060)
C (-1.346, 0.647, 0.065)
C (-1.062, -0.860, -0.026)
N (0.389, -0.898, -0.362)
H (-0.038, 2.394, 0.167)
H (-2.419, 0.826, 0.050)
H (-0.956, -1.221, 0.985)
H (-1.674, -1.437, -0.721)
H (1.064, -1.638, 0.041)

Computed properties:
Total charge: 0
SMILES: Cl/N=C1/C=CCN1
Gap between HOMO and LUMO: 0.346 Ha

---

No. 3
C25H23AlClN2O5S5 | ωB97M-V/def2-TZVPD

Cartesian coordinates (Å):
Al (-0.409, 1.426, -0.734)
C (-2.625, 4.751, -1.478)
C (-1.667, 3.917, -0.684)
O (-1.083, 2.976, -1.368)
C (-1.436, 4.168, 0.642)
C (-0.479, 3.451, 1.429)
C (-0.147, 3.913, 2.818)
N (0.114, 2.417, 0.922)
N (1.098, 1.789, 1.679)
C (1.563, 0.815, 0.963)
O (1.127, 0.529, -0.243)
C (2.651, -0.015, 1.532)
C (2.777, -0.160, 2.911)
C (3.770, -0.972, 3.438)
C (4.660, -1.621, 2.592)
C (4.546, -1.461, 1.216)
C (3.533, -0.675, 0.686)
H (-2.148, 5.078, -2.404)
H (-2.965, 5.617, -0.914)
H (-3.487, 4.141, -1.758)
H (-1.968, 4.982, 1.113)
H (-0.639, 4.859, 3.037)
H (0.932, 4.019, 2.929)
H (-0.468, 3.162, 3.541)
H (2.085, 0.366, 3.557)
H (3.850, -1.096, 4.512)
H (5.433, -2.261, 3.000)
H (5.241, -1.962, 0.555)
H (3.410, -0.568, -0.384)
C (-3.178, -1.599, -2.597)
S (-2.363, -1.690, -4.215)
C (-2.216, 0.030, -4.531)
C (-1.361, 0.882, -3.917)
S (-0.075, 0.428, -2.823)
S (-1.559, 2.555, -4.408)
C (-2.804, 2.354, -5.576)
S (-3.444, 3.597, -6.457)
S (-3.321, 0.721, -5.692)
H (-3.255, -2.620, -2.220)
H (-4.172, -1.168, -2.701)
H (-2.568, -1.011, -1.915)
C (0.262, -3.522, 2.513)
C (0.706, -3.362, 1.076)
C (1.874, -4.022, 0.685)
C (2.315, -4.001, -0.622)
Cl (3.755, -4.893, -1.063)
C (1.615, -3.302, -1.589)
C (0.465, -2.633, -1.220)
C (0.004, -2.654, 0.093)
O (-1.190, -2.009, 0.265)
C (-1.519, -1.265, 1.428)
C (-2.259, 0.010, 1.042)
O (-3.161, 0.399, 1.756)
O (-1.807, 0.613, -0.008)
H (0.683, -4.441, 2.919)
H (-0.818, -3.585, 2.605)
H (0.608, -2.698, 3.140)
H (2.435, -4.581, 1.425)
H (1.963, -3.269, -2.612)
H (-0.092, -2.059, -1.951)
H (-0.622, -0.960, 1.974)
H (-2.173, -1.828, 2.089)

Computed properties:
Total charge: -1
Gap between HOMO and LUMO: 0.281 Ha

---
# Solution
No. 1
C25H25CuF6N2OTe | ωB97M-V/def2-TZVPD

Cartesian coordinates (Å):
Cu (0.226, 0.846, -1.321)
C (3.009, 1.229, 0.292)
N (2.250, 0.773, -0.853)
C (2.834, 0.213, -1.849)
C (2.070, -0.179, -2.985)
C (2.452, -0.729, -4.215)
C (1.284, -0.843, -4.968)
C (0.249, -0.351, -4.160)
N (0.712, 0.046, -2.970)
C (3.314, 2.708, 0.179)
C (4.617, 3.183, 0.257)
C (4.882, 4.542, 0.131)
C (3.841, 5.434, -0.074)
C (2.535, 4.965, -0.153)
C (2.273, 3.611, -0.024)
H (3.946, 0.669, 0.410)
H (2.396, 1.062, 1.182)
H (3.912, 0.016, -1.845)
H (3.452, -1.012, -4.510)
H (1.187, -1.215, -5.977)
H (-0.804, -0.291, -4.397)
H (5.434, 2.485, 0.405)
H (5.902, 4.900, 0.193)
H (4.049, 6.493, -0.172)
H (1.717, 5.657, -0.311)
H (1.258, 3.237, -0.084)
C (-2.753, 1.826, -1.885)
C (-2.021, 2.462, -0.693)
O (-1.009, 1.714, -0.168)
C (-3.066, 2.735, 0.425)
F (-4.084, 3.540, 0.016)
F (-2.532, 3.304, 1.517)
F (-3.645, 1.584, 0.828)
C (-1.443, 3.828, -1.158)
F (-2.377, 4.692, -1.633)
F (-0.563, 3.635, -2.162)
F (-0.780, 4.469, -0.176)
H (-3.277, 0.939, -1.532)
H (-1.996, 1.511, -2.602)
H (-3.460, 2.515, -2.348)
C (-2.217, -6.654, 3.737)
C (-1.967, -5.352, 3.021)
C (-2.954, -4.381, 2.924)
C (-2.726, -3.170, 2.282)
C (-3.838, -2.156, 2.212)
C (-1.469, -2.902, 1.713)
Te (-1.158, -0.976, 0.801)
C (-0.475, -3.884, 1.794)
C (0.892, -3.683, 1.183)
C (-0.734, -5.088, 2.442)
H (-3.241, -6.707, 4.107)
H (-1.543, -6.763, 4.590)
H (-2.053, -7.509, 3.077)
H (-3.930, -4.572, 3.361)
H (-4.751, -2.544, 2.665)
H (-4.041, -1.886, 1.173)
H (-3.565, -1.233, 2.730)
H (0.945, -2.733, 0.655)
H (1.120, -4.481, 0.474)
H (1.665, -3.687, 1.956)
H (0.048, -5.841, 2.490)

Computed properties:
Total charge: -1
Multiplicity: 2
Gap between HOMO and LUMO (spin up / spin down): 0.263 / 0.208 Ha

---

No. 2
C4H5ClN2 | ωB97M-V/def2-TZVPD

Cartesian coordinates (Å):
Cl (3.298, -0.338, 0.036)
N (2.079, 0.842, -0.048)
C (0.868, 0.359, -0.126)
C (-0.203, 1.325, -0.060)
C (-1.346, 0.647, 0.065)
C (-1.062, -0.860, -0.026)
N (0.389, -0.898, -0.362)
H (-0.038, 2.394, 0.167)
H (-2.419, 0.826, 0.050)
H (-0.956, -1.221, 0.985)
H (-1.674, -1.437, -0.721)
H (1.064, -1.638, 0.041)

Computed properties:
Total charge: 0
SMILES: Cl/N=C1/C=CCN1
Gap between HOMO and LUMO: 0.346 Ha

---

No. 3
C25H23AlClN2O5S5 | ωB97M-V/def2-TZVPD

Cartesian coordinates (Å):
Al (-0.409, 1.426, -0.734)
C (-2.625, 4.751, -1.478)
C (-1.667, 3.917, -0.684)
O (-1.083, 2.976, -1.368)
C (-1.436, 4.168, 0.642)
C (-0.479, 3.451, 1.429)
C (-0.147, 3.913, 2.818)
N (0.114, 2.417, 0.922)
N (1.098, 1.789, 1.679)
C (1.563, 0.815, 0.963)
O (1.127, 0.529, -0.243)
C (2.651, -0.015, 1.532)
C (2.777, -0.160, 2.911)
C (3.770, -0.972, 3.438)
C (4.660, -1.621, 2.592)
C (4.546, -1.461, 1.216)
C (3.533, -0.675, 0.686)
H (-2.148, 5.078, -2.404)
H (-2.965, 5.617, -0.914)
H (-3.487, 4.141, -1.758)
H (-1.968, 4.982, 1.113)
H (-0.639, 4.859, 3.037)
H (0.932, 4.019, 2.929)
H (-0.468, 3.162, 3.541)
H (2.085, 0.366, 3.557)
H (3.850, -1.096, 4.512)
H (5.433, -2.261, 3.000)
H (5.241, -1.962, 0.555)
H (3.410, -0.568, -0.384)
C (-3.178, -1.599, -2.597)
S (-2.363, -1.690, -4.215)
C (-2.216, 0.030, -4.531)
C (-1.361, 0.882, -3.917)
S (-0.075, 0.428, -2.823)
S (-1.559, 2.555, -4.408)
C (-2.804, 2.354, -5.576)
S (-3.444, 3.597, -6.457)
S (-3.321, 0.721, -5.692)
H (-3.255, -2.620, -2.220)
H (-4.172, -1.168, -2.701)
H (-2.568, -1.011, -1.915)
C (0.262, -3.522, 2.513)
C (0.706, -3.362, 1.076)
C (1.874, -4.022, 0.685)
C (2.315, -4.001, -0.622)
Cl (3.755, -4.893, -1.063)
C (1.615, -3.302, -1.589)
C (0.465, -2.633, -1.220)
C (0.004, -2.654, 0.093)
O (-1.190, -2.009, 0.265)
C (-1.519, -1.265, 1.428)
C (-2.259, 0.010, 1.042)
O (-3.161, 0.399, 1.756)
O (-1.807, 0.613, -0.008)
H (0.683, -4.441, 2.919)
H (-0.818, -3.585, 2.605)
H (0.608, -2.698, 3.140)
H (2.435, -4.581, 1.425)
H (1.963, -3.269, -2.612)
H (-0.092, -2.059, -1.951)
H (-0.622, -0.960, 1.974)
H (-2.173, -1.828, 2.089)

Computed properties:
Total charge: -1
Gap between HOMO and LUMO: 0.281 Ha

---